28 April 2010

Invited guest: Joe White

The project looks at the concept of a passing sense of presence within a photograph, left buy a person(s) without physically having a human life in any image.
My interiors are the documentation of student housing, capturing living rooms to convey the immediate past. By using this method I have created a frank and honest portrait of the students themselves.

photos by Joe White


20 April 2010


Aleksandra is selling tango shoes from Argentina in her shop in Warsaw
by Tomek Adamowicz /previously in Fblog/

something for the F-blog

by mary c mitchell

17 April 2010

Where are you Lotti?

There are things that are not that easy to explain.
Like Springsteen.
I normally don't like him very much.
I think he has become an american Lill-Babs.
He has become to popular, to mainstream, to kind for my taste.

But yet, when I listen to Rosalita from -73.
Then I forgot about those things.


'Windows are for cheaters, chimneys for the poor
Closets are for hangers, winners use the door
So use it Rosie, that's what it's there for'

Has anyone said it better than that?

Record 1
{"formula": "C18H19N3O3", "method": "ωB97M-V/def2-TZVPD", "symbols": ["C", "O", "C", "O", "N", "C", "C", "C", "C", "C", "C", "O", "C", "C", "C", "C", "N", "C", "C", "C", "C", "C", "N", "C", "H", "H", "H", "H", "H", "H", "H", "H", "H", "H", "H", "H", "H", "H", "H", "H", "H", "H", "H"], "coordinates": [[-1.131, -3.176, -2.452], [-1.223, -1.763, -2.162], [-2.051, -1.497, -1.086], [-2.518, -2.379, -0.343], [-2.389, -0.185, -0.887], [-3.041, 0.352, 0.296], [-3.874, 1.485, -0.285], [-3.193, 1.862, -1.583], [-1.970, 0.943, -1.672], [-0.660, 1.396, -1.037], [-0.833, 1.670, 0.516], [-1.273, 3.011, 0.674], [0.455, 1.557, 1.205], [1.523, 1.360, 1.698], [2.853, 1.135, 2.185], [3.866, 0.530, 1.499], [4.960, 0.681, 2.332], [6.233, 0.251, 2.069], [7.229, 0.492, 3.003], [6.920, 1.280, 4.212], [5.634, 1.695, 4.452], [4.578, 1.382, 3.459], [3.273, 1.608, 3.415], [-1.894, 0.736, 1.215], [-0.904, -3.786, -1.575], [-0.298, -3.304, -3.137], [-2.042, -3.508, -2.932], [-3.691, -0.407, 0.729], [-4.920, 1.133, -0.455], [-3.968, 2.371, 0.357], [-2.904, 2.923, -1.543], [-3.871, 1.656, -2.440], [-1.787, 0.696, -2.713], [0.093, 0.622, -1.185], [-0.335, 2.291, -1.594], [-2.171, 3.056, 0.325], [3.820, 0.128, 0.502], [6.460, -0.286, 1.156], [8.246, 0.174, 2.781], [7.774, 1.471, 4.841], [5.402, 2.229, 5.341], [-1.357, -0.200, 1.416], [-2.268, 1.069, 2.162]], "lowdin_charge": [-0.049, -0.039, -0.463, 0.052, 0.008, -0.244, -0.127, -0.115, -0.265, -0.027, -0.438, -0.003, 0.069, 0.076, -0.292, 0.002, -0.025, -0.047, -0.057, -0.073, 0.020, -0.255, 0.148, -0.028, 0.092, 0.087, 0.091, 0.152, 0.130, 0.116, 0.118, 0.128, 0.148, 0.122, 0.136, 0.058, 0.129, 0.123, 0.095, 0.093, 0.095, 0.133, 0.126], "energy_ha": -1087.234455, "smiles": "COC(=O)N1[C@@H]2CC[C@H]1C[C@](O)(C#Cc1cn3ccccc3n1)C2", "charge": 0, "e_above_lowest_kj_mol": 336.58, "multiplicity": 1}

=====

Record 2
-- End of the molecular data --


07 April 2010

exhibition: Identity Proofs - scene 2

Anyone who comes across Gliwice in April, please be welcome to visit the exhibition I'm opening tomorrow.

Identity Proofs – scene 2

Aneta Grzeszykowska / Joachim Schmid

Identity Proofs is a photographic exposition presenting works of artists dealing with the issue of identity. Four artists were invited to present individual projects at the Art ReadingRoom – new space created next to the Museum in Gliwice. In the first edition, which took place in March, we had a chance to see the works of Dita Pepe and Jerzy Lewczyński.

For the second edition, which will start on April 8th, we invited a young Polish photographer, Aneta Grzeszykowska, and German artist-sociologist, Joachim Schmid.

The April exposition is supposed to focus the visitors’ attention on the problem of identity perceived through our ‘visual quality’, our personal appearance. Presented will be a series of illusional portraits of non-existent people by Aneta Grzeszykowska. Through digital manipulation of the image, the artist creates fake persons who are very convincing in their detailed appearance. This cycle will be juxtaposed with the work of Joachim Schmid’s, in which, as in most of his creation, he uses found photographs. Old, torn apart studio portraits – probably made for IDs’ – are organized in the way that produces new, double portraits. Combined features of two different people create a disturbing image of some new, unknown identity. Confronting the works of Schmid and Grzeszykowska should arise doubts and destroy our confidence in what and whom we actually see.

letf: Aneta Grzeszykowska, from the series "Untitled People",
rigth: Joachim Schmid, from the series "Photogenetic Drafts"

Bubo bubo

# Records of molecules from another source follow
+++
[1]
Density functional theory data (ωB97M-V/def2-TZVPD) for 4 unconnected molecules or ions with the total composition C5H14O3.

Element x y z (Å)
C  0.328  2.315  -0.568
C  1.404  2.744  0.148
C  0.480  1.444  -1.755
C  -0.561  0.331  -1.589
C  -0.882  -0.456  -0.600
H  -0.604  2.740  -0.110
H  1.295  3.248  1.228
H  2.408  2.633  -0.264
H  0.446  1.913  -2.671
H  1.603  1.019  -1.572
H  -1.265  0.274  -2.418
H  -1.601  -1.186  -0.730
H  -0.209  -0.532  0.321
H  -1.007  -2.659  -3.003
H  -2.170  -3.155  -3.652
O  -1.309  -2.981  -3.744
H  -1.068  1.343  2.865
H  -0.350  2.411  3.560
O  -1.253  2.062  3.442
H  2.076  -3.237  2.819
H  2.209  -4.673  3.425
O  1.765  -3.881  3.600

Properties
E   -11550.150 eV
Energy above the lowest of the compared OMol25 structures with the same formula, charge and spin   89.87 kcal/mol
HOMO energy (alpha / beta)   0.033 / -0.241 Eh
Net charge   -1
LUMO (alpha / beta)   3.3 / 3.3 eV
Largest force on an atom   7.6 eV/Å
2S+1   2

[2]
Density functional theory data (ωB97M-V/def2-TZVPD) for a gas-phase ion, C5H9N2 (charge +1).

Element x y z (Å)
C  -1.879  1.778  0.507
C  -1.719  0.580  -0.473
N  -0.464  0.025  -0.511
N  0.437  -0.476  0.919
C  1.332  -0.960  0.073
C  2.548  -1.481  0.515
C  0.492  -0.571  -1.124
H  -1.727  1.246  1.443
H  -1.185  2.527  0.256
H  -2.940  2.115  0.368
H  -1.977  0.659  -1.541
H  -2.341  -0.098  0.018
H  2.582  -1.257  1.572
H  3.327  -0.828  0.130
H  2.833  -2.475  0.023
H  0.681  -0.786  -2.176

Properties
E   -8299.378 eV
Energy above the lowest of the compared OMol25 structures with the same formula, charge and spin   146.53 kcal/mol
HOMO energy   -0.562 Eh
Net charge   +1
LUMO   -5.9 eV
Largest force on an atom   5.9 eV/Å
2S+1   1

[3]
Density functional theory data (ωB97M-V/def2-TZVPD) for a molecular structure, C33H35N8O7PW.

Element x y z (Å)
W  -0.392  -0.102  0.266
C  0.315  1.203  4.362
C  0.338  0.046  5.141
C  0.053  -1.163  4.550
C  -0.229  -1.228  3.181
N  -0.212  -0.105  2.424
C  0.033  1.085  3.027
N  -0.578  -2.463  2.694
C  -0.731  -2.823  1.483
N  -0.460  -2.087  0.289
C  -1.039  -2.821  -0.792
N  -1.178  -2.473  -2.010
C  -0.874  -1.269  -2.599
C  -0.854  -1.251  -3.999
C  -0.636  -0.072  -4.672
C  -0.459  1.105  -3.941
C  -0.482  1.034  -2.574
N  -0.665  -0.131  -1.898
C  -1.519  -4.097  -0.271
C  -2.110  -5.163  -0.926
C  -2.491  -6.247  -0.148
C  -2.293  -6.254  1.235
C  -1.707  -5.178  1.886
C  -1.322  -4.104  1.102
H  0.500  2.179  4.788
H  0.555  0.098  6.200
H  0.020  -2.084  5.112
H  -0.016  1.958  2.387
H  -1.031  -2.183  -4.514
H  -0.621  -0.056  -5.753
H  -0.311  2.058  -4.427
H  -0.343  1.920  -1.965
H  -2.266  -5.147  -1.996
H  -2.954  -7.105  -0.617
H  -2.606  -7.117  1.806
H  -1.556  -5.172  2.956
O  -7.200  3.242  -0.821
N  -6.248  3.986  -0.813
O  -6.247  5.169  -1.052
C  -4.932  3.369  -0.536
C  -3.800  4.161  -0.537
C  -2.570  3.585  -0.296
C  -2.424  2.205  -0.010
O  -1.267  1.667  0.295
C  -3.626  1.456  -0.026
C  -4.868  2.023  -0.287
+++
# Back to the entry

06 April 2010

back to back.

how not to make a photograph? hey, watch your back!
http://fotoartaddict.blogspot.com when you enter gallery or a museum with a camera, i'll be after you.

03 April 2010

baby blues.

meet Tadeusz and his father /reading 'baby blues', awesome comic, kind of survival guide for young parents/